WHAT goes through your mind when you see someone with a scar? Do you recoil in disgust? Do your eyes light up with curiosity? Or do you form your own opinion and assume that this person is either a gangster rocking a battle scar or an accident survivor?
Well today’s FITC carries a scar on the back of his head that is pretty inconspicuous, so much so that I was distracted for the majority of the time as I sat through a press conference and he was seated directly in front of me.
Colin Weekes is not a gangster or an accident survivor, no, he is a 48 year old filmmaker who originates from Sans Souci and now resides in Cap Estate.
Weekes just happened to have an uninvited guest that was getting too big for the room that it occupied…in his head.
This was totally another moment when being a curious opportunist worked to my advantage, as my asking nicely thankfully got this normally shy and reserved man to open up and tell me about his interesting and icebreaking scar.

The VOICE: That scar on the back of your head, I couldn’t help but stare at it, so much so that I missed half of the conference. How did you get it?
Weekes: I had a cyst in the back of my head and when I was 18 I took it out. When I was 17 and just about leaving school, I started having complications in terms of my balance and different things were happening to me that were unexplainable. A lot of it had to do with my eyes, so I started having issues with my eyesight and so forth I went to the eye specialist who gave me glasses, but that didn’t seem to help. To cut a long story short, I went to Victoria Hospital and got some X-rays done but nothing was shown. Still, the problems persisted. Eventually, I ended up doing a scan in Martinique and that’s when they found a cyst in the back of my head. So really, it was resting on my optic nerve and that’s why I was having eye issues. As I said, my balance was thrown off and the reason that I got to know that was because I was heavily into sports and I just realised that I couldn’t do the things that I was able to do months ago, specifically with football. Just keeping up the ball and ball control…things I was doing with the ball two three months ago, I just totally lost it. The fellas were giving me jokes but I knew there was something deeper. Even again with sports, I did track. I remember specifically running the 200m finals for inter-schools sports for St. Mary’s, and when I finished the race, I just felt the whole left side of my body weak. I couldn’t figure it out…why was I feeling fresh on one side and weak on the other? After finding out about the cyst, I knew what was totally wrong with me and it changed my life because at that point, I realised that it could have been a lot worse. I could have lost my eyesight and I could have even died.
The VOICE: Before being told that there was a cyst, was it not protruding in any way?
Weekes: No. actually the surgeons had to cut through my skull to get to it because it wasn’t a bump or anything, it was in there. I just felt the physical effects of it.
The VOICE: What was your recovery like after your surgery?
Weekes: To be honest, the doctor told me that it was because of my attitude that the operation was so successful. It was like a big show for me. It was like a fun thing and I took it very lightly. I remember when I came out of the operating room, my father was there and the first thing I asked him was whether Brazil had won their game, because the World cup was going on at the time and that was the first thing I thought about. I didn’t think of death or the consequences.
The VOICE: Is this something that’s common in your family?
Weekes: No, I’m the only one. Fortunately (Now) when I was young, I was in the hospital quite a bit. I had operations for appendix, hernia and I was there a few years ago for dengue but that’s something else, but I’ve been quite healthy. As I said, I take care of myself and stay away from the unnecessary ill so, it’s just me.

The VOICE: I’m guessing your scar is an icebreaker. How much attention do you get because of it?
Weekes: It’s only been in the past five years when I started getting a little less hair on my head and I decided to shave it all off, so now people are really seeing the scar, but before I had hair on my head and it wasn’t seen. But yeah, people will come up to me and ask and I answer them.
The VOICE: has anyone tried to come up to you and touch it?
Weekes: Yeah people touch it all the time but it’s a big deal. Only thing is with barbers, so that’s why I’ve gone to the same barber for umpteen years now, because if I go to a different barber, they’re like “Ok, how do I treat this?” But it’s nothing that physically bothers me.
The VOICE: How has this changed you life?
# Here the page breaks off for crystal structures
- - -
(1)
This entry pairs a crystal structure of Ti11Ga9Rh4 with its theoretical XRD peak list. Radiation: Cu Kα (weighted mean of Kα1 and Kα2). Structure: a DFT-relaxed cell (GGA-PBE, Alexandria).
Neutral-atom scattering factors, no anomalous dispersion.

Crystal structure
```
data_Ti11Ga9Rh4
_symmetry_space_group_name_H-M 'C m m m'
_symmetry_Int_Tables_number 65
_symmetry_space_group_name_Hall '-C 2 2'
_cell_length_a 12.780
_cell_length_b 20.030
_cell_length_c 2.969
_cell_angle_alpha 90.00
_cell_angle_beta 90.00
_cell_angle_gamma 90.00
loop_
_atom_site_label
_atom_site_type_symbol
_atom_site_fract_x
_atom_site_fract_y
_atom_site_fract_z
Ti1 Ti 0.000 0.000 0.000
Ti2 Ti 0.000 0.167 0.000
Ti3 Ti 0.000 0.377 0.000
Ti4 Ti 0.210 0.500 0.000
Ti5 Ti 0.223 0.180 0.000
Ga1 Ga 0.000 0.500 0.500
Ga2 Ga 0.104 0.269 0.500
Ga3 Ga 0.132 0.078 0.500
Rh1 Rh 0.162 0.399 0.500
```

Top 12 peaks for 2θ from 10° to 80°, low angle first:
hkl  Position (°2θ)  I (rel.)
0 0 1  30.1  26.4
2 4 1  37.9  36.6
4 6 0  39.0  95.1
3 3 1  39.4  32.0
0 6 1  40.7  100.0
1 9 0  41.2  34.0
4 0 1  41.5  94.0
5 5 0  41.9  20.7
6 2 0  43.5  34.9
0 0 2  62.6  27.9
4 6 2  76.3  24.1
9 5 1  78.4  18.4



(2)
This entry pairs a crystal structure of NiP2SeN with its theoretical XRD peak list. Radiation: Cu Kα (weighted mean of Kα1 and Kα2). Structure: a DFT-relaxed cell (GGA-PBE, Alexandria).
Neutral-atom scattering factors, no anomalous dispersion.

Crystal structure
```
data_NiP2SeN
_symmetry_space_group_name_H-M 'C 1 m 1'
_symmetry_Int_Tables_number 8
_cell_length_a 7.928
_cell_length_b 3.230
_cell_length_c 6.798
_cell_angle_alpha 90.00
_cell_angle_beta 113.29
_cell_angle_gamma 90.00
loop_
_symmetry_equiv_pos_as_xyz
'x,y,z'
'x,-y,z'
'x+1/2,y+1/2,z'
'x+1/2,-y+1/2,z'
loop_
_atom_site_label
_atom_site_type_symbol
_atom_site_fract_x
_atom_site_fract_y
_atom_site_fract_z
Ni1 Ni 0.000 0.000 0.000
P1 P 0.008 0.000 0.463
P2 P 0.082 0.500 0.253
Se1 Se 0.151 0.500 0.855
N1 N 0.298 0.500 0.405
```

Top 12 peaks for 2θ from 10° to 80°, low angle first:
hkl  Position (°2θ)  I (rel.)
0 0 1  14.2  67.8
2 0 0  24.4  60.7
0 0 2  28.6  35.8
1 1 0  30.3  42.2
1 1 -1  31.4  14.3
2 0 1  33.0  21.1
1 1 -2  38.5  100.0
2 0 2  45.1  16.6
3 1 -2  46.7  29.0
3 1 0  46.8  53.9
1 1 -3  49.4  15.0
0 2 0  57.0  16.6



(3)
This entry pairs a crystal structure of SmSn2Rh3 with its theoretical XRD peak list. Radiation: Cu Kα (weighted mean of Kα1 and Kα2). Structure: a DFT-relaxed cell (GGA-PBE, Alexandria).
Neutral-atom scattering factors, no anomalous dispersion.

Crystal structure
```
data_SmSn2Rh3
_symmetry_space_group_name_H-M 'P -3 m 1'
_symmetry_Int_Tables_number 164
_symmetry_space_group_name_Hall '-P 3 2"'
_cell_length_a 4.5974
_cell_length_b 4.5974
_cell_length_c 6.2789
_cell_angle_alpha 90.00
_cell_angle_beta 90.00
_cell_angle_gamma 120.00
loop_
_atom_site_label
_atom_site_type_symbol
_atom_site_fract_x
_atom_site_fract_y
_atom_site_fract_z
Sm1 Sm 0.0000 0.0000 0.0000
Sn1 Sn 0.3333 0.6667 0.6868
- - -
# Here the page continues
Weekes: I always had a conscious way of living but I think after that incident, I became even more conscious of life and the value of it. Since then, I take life very seriously and I don’t waste life so to speak. I grab at opportunities and I try not to mess around in terms of lifestyles. I don’t drink, I don’t smoke…I value myself. The party thing is not something I fuss about. I’ve never really been a party person but even though, say I miss a party, I missed a party; it’s not the end of the world. I focus on my passion which is family, especially my daughter who has made a huge impact on my life, and my way of earning a living. I just want to acknowledge my daughter, my family. Another reason for taking life very seriously and this made me figure that there must be a purpose for me on this earth, when I was only two days old; I was written off for death already. The story as it goes was that the doctor said that I was a gonner and that I wouldn’t live. In fact, the doctor refused to come to the hospital because he insisted that there was no reason to come because I was not going to live. Fortunately, there was another doctor present who saw to me and I’m here today.
The VOICE: what is your relationship like with your scar today?
Weekes: For me it’s not even there. I don’t think about it. I mean, people see it but I don’t think about it. Sometimes, months, even years would pass and I don’t remember it so I have no relationship with it…we’re actually divorced right now.